Alan Bushong
In August of 1989, the City of Salem and Marion County incorporated Capital Community Television (CCTV) and appointed a start-up Board of Directors. That Board hired Austin (Texas) Community Television Director Alan Bushong to bring local, non-commercial community television to the greater-Salem area. That decision brought about a television station that helped tie together the Salem-Keizer community. Many of those ties were the result of promoting high school activities and, especially, high school sports.
Caught in between the media markets of Portland and Eugene, Salem was, and continues to be, the largest state capital with no local broadcast television. Alan Bushong was given the charge of putting the Salem-Keizer community on TV, helping to build community identity and pride.
Alan worked for 31 years to meet this charge, retiring in 2020. He gave this community a presence in media to build a sense of community. CCTV is now Capital Community Media. “CC:Media” now includes three television channels, a shared full power FM radio station, and ongoing streaming. CCTV worked overtime to fulfill the dream of the founders by providing greater access to the work of local governments, media support for non-profit organizations and individuals, and a showcase for the work of students, teachers, coaches, and parent volunteers. By all counts, Alan fulfilled his mission.
Alan grew up on the edge of Darlington, Indiana. The farm town of 714 was smaller than his high school graduating class of 806 in Michigan City. He graduated from Purdue University where he met his wife Jacinta. Alan’s parents were Depression-era, “waste not-want not” people who were first generation “off the farm”. He is thankful for the life lessons he received from his parents and especially the opportunity for an education. He recognizes that his opportunities in life have been provided by ancestors whose shoulders he stands on—people who had little opportunity of their own. He doubts that any of his grandparents even graduated from high school.
Starting in 1978, Bushong had the great fortune to begin working at Austin Community Television. It was the formative years of community television. After eleven years at ACTV, he jumped at the chance to build a start up community television station in Salem. Salem had a void of local TV. Alan saw the opportunity to join a new community and build bridges through something he loved.
In the beginning the community was indeed hungry for a presence on TV. The challenge was to use City of Salem and Marion County cable franchise resources to make a community media organization second to none. CCTV wanted to make the founders, the City of Salem, Marion County and this
community proud. And the new board gave great advice: “put the kids TV”.
Early on Alan met fellow Beacon John Piper. John was part of the Salem-Keizer School District communications staff and the work with schools began. John Piper went on to announce nearly every Salem-Keizer high school sport for the next 30 years as the “Voice of CCTV”. Alan also met Mark Gilman that autumn of 1990. CC:Media continues to use Mark’s radio announcing on high school football games, a truly collegial partnership that now exceeds 200 high school games.
Production started in the fall of 1990 to cover the work of schools, student-athletes, and coaches. With a staff of three, CCTV designed and purchased a production truck and trained volunteers. The first high school event was a football game recorded Sept. 21, 1990. Final score: McKay 27, Corvallis 6.
In 1991 Salem-Keizer's Music Supervisor Karl Raschkes asked Alan to consider coverage of the
performing arts. Karl was in the process of building the local music education program into a Pacific Northwest powerhouse. The partnership started with high school choirs, bands and orchestras. Middle school music groups were soon added.
In 2001 CCTV began a partnership with the Oregon School Activities Association that enabled coverage of high school playoff games and state music competitions. Thousands of students have participated in these televised events and thousands of parents and community members got to watch Salem-Keizer kids excel in sports and activities. The kids were indeed on TV!
In 2008 CCTV opened a new, state-of-the-art community media center at 575 Trade Street. The 9400 square foot center replaced a long-outgrown 2400 square foot center in the plaza level of the Salem Public Library. The new center features two studios, an education wing, editing and equipment check-out areas and the equipment necessary to deliver programs to the home. In 2022, the center will add a multi-media wing that combines television, internet, and radio distribution of programs.
Bushong is the first to say that all too often he alone gets the credit for the work done by many dedicated volunteers and his talented staff colleagues. Over the years it’s often difficult to tell the difference between CCTV staff and volunteers because so many faces remained over so many years. Those very dedicated volunteers have enabled CCTV to bring events to the Salem-Keizer community that otherwise could not have happened. Many more community organizations were helped and promoted than the staff could have done alone. Alan is especially proud of the volunteer announcing teams that covered high school sports, including the inclusion of women. CCTV “was years ahead of network TV’s inclusion of women as announcers.”
Next to the article, the page also holds calculated molecules.
/*
1.
{"formula": "C24H26B2Cl5O3S", "method": "ωB97M-V with the def2-TZVPD basis set", "symbols": ["Cl", "B", "Cl", "Cl", "O", "C", "C", "C", "C", "C", "Cl", "C", "C", "H", "H", "H", "H", "H", "C", "C", "C", "C", "C", "B", "C", "C", "C", "C", "Cl", "C", "C", "O", "C", "C", "C", "C", "C", "C", "O", "S", "H", "H", "H", "H", "H", "H", "H", "H", "H", "H", "H", "H", "H", "H", "H", "H", "H", "H", "H", "H", "H"], "positions_angstrom": [[1.521, 2.665, -4.170], [1.399, 0.842, -3.855], [0.640, -0.001, -5.280], [3.110, 0.174, -3.633], [0.540, 0.623, -2.509], [-0.623, 0.101, -2.283], [-1.639, 0.295, -3.289], [-2.412, -0.816, -3.659], [-3.308, -0.708, -4.710], [-3.515, 0.550, -5.308], [-4.748, 0.741, -6.476], [-2.747, 1.659, -4.929], [-1.795, 1.531, -3.932], [-0.860, -0.646, -1.469], [-2.198, -1.740, -3.108], [-3.843, -1.578, -5.075], [-2.891, 2.613, -5.440], [-1.137, 2.345, -3.652], [0.956, 0.370, 6.446], [0.740, -0.152, 5.102], [0.334, -1.420, 4.724], [-0.008, -1.514, 3.339], [0.130, -0.301, 2.702], [0.169, -0.058, 1.104], [-1.438, 0.189, 0.831], [-2.329, -0.865, 0.665], [-3.720, -0.649, 0.628], [-4.216, 0.654, 0.768], [-5.929, 0.943, 0.733], [-3.331, 1.728, 0.904], [-1.944, 1.479, 0.925], [1.083, 0.979, 0.820], [2.395, 0.423, 0.751], [3.160, 1.342, -0.189], [3.123, 0.424, 2.081], [2.137, -1.118, 0.359], [1.778, -1.397, -1.063], [3.168, -2.190, 0.647], [0.853, -1.350, 0.976], [0.678, 0.934, 3.752], [0.895, -0.468, 7.140], [1.921, 0.866, 6.543], [0.164, 1.094, 6.673], [0.262, -2.246, 5.424], [-0.307, -2.447, 2.870], [-1.962, -1.884, 0.611], [-4.429, -1.470, 0.527], [-3.732, 2.734, 1.025], [-1.276, 2.316, 1.079], [4.166, 0.949, -0.426], [2.621, 1.500, -1.135], [3.279, 2.330, 0.290], [4.138, 0.023, 1.932], [3.223, 1.434, 2.502], [2.636, -0.222, 2.823], [2.546, -1.214, -1.821], [1.245, -2.358, -1.177], [1.046, -0.602, -1.142], [4.060, -1.992, 0.034], [3.462, -2.298, 1.694], [2.758, -3.146, 0.304]], "nbo_charge": [-0.2490, 0.3852, -0.2324, -0.2157, -0.5638, 0.5385, -0.1999, -0.1140, -0.2426, -0.0063, 0.0338, -0.2370, -0.1020, 0.2520, 0.2305, 0.2321, 0.2340, 0.2539, -0.6266, -0.2606, -0.2673, -0.2975, -0.3622, 0.7882, -0.2625, -0.1816, -0.2554, -0.0666, -0.0388, -0.2346, -0.1994, -0.7465, 0.2693, -0.6201, -0.6468, 0.2505, -0.6432, -0.6224, -0.7462, 0.4019, 0.2064, 0.2024, 0.2050, 0.1937, 0.2140, 0.2084, 0.2107, 0.2130, 0.2226, 0.1968, 0.2213, 0.2069, 0.1959, 0.2099, 0.2320, 0.2115, 0.1998, 0.2041, 0.2027, 0.2056, 0.2085], "e_tot_ha": -3904.9054, "fmax_ev_per_a": 3.5, "e_lumo_ev": 0.59, "charge": -1, "homo_lumo_gap_ev": 4.65, "homo_ha": -0.149}



2.
*/
Alan remains passionate about community media, currently volunteering on almost as many sports and music programs as he worked while on staff. CC:Media will boldly go into a media future that he hopes will include him and continue to include high school sports. When asked why CC:Media will continue to build on the past 32 years, Bushong's answer would be brief and simple: “Our community is important”.
Alan and Jacinta's daughter Erica graduated from Sprague High School in 2001. As a junior and band council president, she was a part of the music program that won the Grammy as the best public school music education program in the nation.
Alan Bushong nurtured CCTV from the beginning. He has guided its growth for 30 years, from just a concept into a media organization that is vital to the Salem-Keizer community. CCTV has showcased the youth of Salem-Keizer and, most especially, its athletes. Alan realized the importance of high school sports and activities as a vehicle to build community and made sure that others saw it that way as well. He has built community and school athletics and activities one school event at a time. He did, in fact, “put the kids on TV”. For that, Alan Bushong is a Beacon.